Friday Black Session Week 4

-- Unrelated to this piece: calculated crystals --
- - -
# GdAl

A relaxed structure of GdAl (PBEsol, the Alexandria database).

```
GdAl
1.0
-2.264 -0.366 2.749
-2.639 -0.807 -2.281
0.853 -3.469 0.240
Gd Al
1 1
Direct
0.000 0.000 0.000
0.500 0.500 0.500
```

Properties
As for the formation energy: -0.4037 eV/atom. The value obtained for the density of states at the Fermi level is 0.8 states/eV/cell.


# GdAlGe

A relaxed structure of GdAlGe (PBEsol, the Alexandria database).

```
GdAlGe
1.0
-2.980 -2.820 0.418
2.815 -2.814 1.081
-0.720 4.702 6.252
Ge Gd Al
2 2 2
Direct
0.249 0.249 0.499
0.499 0.999 0.999
0.669 0.669 0.338
0.919 0.419 0.838
0.085 0.085 0.169
0.335 0.835 0.669
```

Properties
As for the formation energy: -0.6669 eV/atom. The value obtained for the density of states at the Fermi level is 1.3 states/eV/cell.


# GdAlGe

A relaxed structure of GdAlGe (PBEsol, the Alexandria database).

```
GdAlGe
1.0
4.040 0.000 0.000
-2.020 5.197 0.000
0.000 0.000 5.752
Gd Ge Al
2 2 2
Direct
0.310 0.620 0.250
0.690 0.380 0.750
0.395 0.790 0.750
0.605 0.210 0.250
0.000 0.000 0.000
0.000 0.000 0.500
```

Properties
As for the formation energy: -0.7049 eV/atom. The value obtained for the density of states at the Fermi level is 2.2 states/eV/cell.


# Gd2Al3Ge4

A relaxed structure of Gd2Al3Ge4 (PBEsol, the Alexandria database).

```
Gd2Al3Ge4
1.0
-0.225 -5.760 1.180
6.059 0.779 4.957
-4.571 4.193 4.928
Ge Al Gd
8 6 4
Direct
0.796 0.750 0.091
0.684 0.448 0.368
0.184 0.052 0.368
0.704 0.250 0.909
0.816 0.948 0.632
0.204 0.250 0.909
0.316 0.552 0.632
0.296 0.750 0.091
0.034 0.250 0.567
0.534 0.250 0.567
0.966 0.750 0.433
0.500 0.500 0.000
0.466 0.750 0.433
0.000 0.000 0.000
0.615 0.080 0.229
0.385 0.920 0.771
0.115 0.420 0.229
0.885 0.580 0.771
```

Properties
As for the formation energy: -0.5133 eV/atom. The value obtained for the density of states at the Fermi level is 5.9 states/eV/cell.


# LaGdAl4

A relaxed structure of LaGdAl4 (PBEsol, the Alexandria database).

```
LaGdAl4
1.0
-4.364 1.469 -3.225
-2.288 -3.748 -3.511
-5.109 -2.091 1.062
La Al Gd
1 4 1
Direct
0.000 0.000 0.000
0.375 0.875 0.375
0.375 0.375 0.375
0.875 0.375 0.375
0.375 0.375 0.875
0.750 0.750 0.750
```

Properties
As for the formation energy: -0.5060 eV/atom. The value obtained for the density of states at the Fermi level is 4.4 states/eV/cell.


# LiGd2Al

A relaxed structure of LiGd2Al (PBEsol, the Alexandria database).

```
LiGd2Al
1.0
5.135 0.000 0.000
2.568 4.447 0.000
2.568 1.482 4.193
Gd Al Li
2 1 1
Direct
0.250 0.250 0.250
0.750 0.750 0.750
0.500 0.500 0.500
0.000 0.000 0.000
```

Properties
As for the formation energy: -0.1987 eV/atom. The value obtained for the density of states at the Fermi level is 3.4 states/eV/cell.


# GdAlNi4

A relaxed structure of GdAlNi4 (PBEsol, the Alexandria database).

```
GdAlNi4
1.0
3.975 0.000 0.000
0.000 4.853 -0.016
0.000 -2.312 4.267
Ni Al Gd
4 1 1
Direct
0.500 0.000 0.500
0.500 0.500 0.000
0.000 0.830 0.170
0.000 0.170 0.830
0.500 0.000 0.000
0.000 0.500 0.500
```

Properties
- - -

Experienced a New Way

PROGRAM NOTE: I am going to start posting the weekend assignments on Saturdays instead of Fridays.  It will be part of the Saturday Journey. Thanks.WAR WorkoutPerform 21,18,15,12,9,6,3 reps for time of:Hang Power Snatch (95,65)KBS (70,55)Goblet Squat (70,55)    +rest 5 minutes50 HSPU For TimeGYM NOTE: We will review and work on the Power for the first 20-25 minutes of class.  Try and be on time. KBS need to clear your ears, meaning straight up overhead. You will use the same KB for your Goblet Squat. 50 HSPU for time is for the advanced; others will do holds. Let's have a good day and finish the week strong. Intensity is key....Thinking Out Loud: All it takes is to become an outside the box thinker. Dare to listen to the whisper of good that enters your mind; and then dare to act on it. To really change you have to do things that you may feel are unnatural to you like: prayer, reading, going on a hike, snowshoeing, more reading, finding solitude and coupling it with prayer, reading in remote places, going skiing; and on and on it could go. I guess what I'm saying is that you need to look to experience new healthy things that can still get you high; but high in a real way.  This hight that I speak of is a hight that you don't have to come down from; you don't have to chase this high.  This high remains; and is even deeply remembered. This high is lasting happiness, not temporary happiness. How do you expect to change if you don't try an new way? What I'm promoting is a new way to experience life. A new Journey for a time.  -Hawk

Schedule Time for Your Inner Work

Richard Carlson, PhD

• Attached: calculated crystals:
┌──
# 1
65
Lattice="-5.095 0.897 -4.832 -9.357 -2.062 4.344 -4.691 7.888 4.949" Properties=species:S:1:pos:R:3 comment="Na2CuH20C12N12O18 (PBE-GGA, optimized geometry)" rho_g_cm3=1.86 energy_ev_per_cell=-426.18 pbc="T T T"
O -13.448 -0.693 1.142
O -5.694 7.417 3.319
O -11.243 0.302 4.432
O -8.239 6.426 3.129
O -8.217 3.236 1.611
O -5.983 4.111 4.434
O -13.160 2.613 0.027
O -5.328 0.181 -0.188
O -7.900 6.421 0.029
O -10.904 0.298 1.332
O -4.269 4.351 1.999
O -9.432 4.684 5.730
O -9.710 2.039 -1.270
O -13.814 6.543 4.649
O -7.653 -0.171 2.603
O -10.926 3.487 2.850
O -14.874 2.373 2.462
O -11.490 6.895 1.857
N -6.738 1.713 0.745
N -8.283 0.501 -2.191
N -1.716 0.246 0.928
N -12.293 2.870 4.583
N -10.859 6.222 6.652
N -5.375 2.285 -1.098
N -3.272 1.771 1.815
N -6.849 3.853 -0.122
N -17.427 6.477 3.532
N -15.871 4.952 2.646
N -13.767 4.438 5.559
N -12.405 5.010 3.716
C -7.179 -1.332 2.588
C -5.883 3.542 -1.070
C -11.964 8.055 1.873
C -11.821 3.769 3.661
C -5.781 1.359 -0.198
C -7.321 2.954 0.800
C -8.844 1.756 -2.104
C -13.260 3.181 5.531
C -16.870 5.234 3.563
C -13.361 5.364 4.659
C -10.299 4.967 6.565
C -2.273 1.490 0.898
H -10.534 6.938 5.957
H -8.360 6.570 2.166
H -10.270 -0.321 0.895
H -8.873 7.045 3.566
H -13.778 2.390 0.759
H -6.628 7.058 3.365
H -7.073 1.003 1.436
H -15.483 3.978 2.598
H -7.252 4.818 -0.087
H -5.365 4.333 3.702
H -3.660 2.746 1.863
H -10.783 0.153 2.295
H -12.069 5.720 3.025
H -11.890 1.905 4.548
H -10.996 5.729 0.263
H -4.567 1.777 -2.381
H -14.576 4.947 6.842
H -8.146 0.994 4.198
H -8.608 -0.215 -1.496
H -12.515 -0.334 1.096
Na -8.377 3.964 3.810
Na -10.766 2.759 0.651
Cu 0.000 0.000 0.000



# 2
12
Lattice="7.448 0.000 0.000 0.000 4.997 0.000 0.000 0.000 4.303" Properties=species:S:1:pos:R:3 comment="BeMoPt (PBE-GGA, optimized geometry)" rho_g_cm3=12.44 e_above_lowest_polymorph_mev_per_atom=105 formation_enthalpy_0k_ev_per_atom=-0.30 pbc="T T T"
Be 6.207 3.748 2.152
Be 1.241 1.249 2.152
Be 2.483 3.748 4.303
Be 4.965 1.249 0.000
Mo 3.724 0.000 2.152
Mo 0.000 0.000 0.000
Mo 0.000 2.498 0.000
Mo 3.724 2.498 2.152
Pt 2.484 1.249 4.303
Pt 4.964 3.748 0.000
Pt 1.240 3.748 2.152
Pt 6.208 1.249 2.152



# 3
3
Lattice="3.667 0.000 0.000 0.000 4.288 0.000 0.000 -2.144 3.714" Properties=species:S:1:pos:R:3 comment="ZrTiPd (PBE-GGA, optimized geometry)" rho_g_cm3=6.98 e_above_lowest_polymorph_mev_per_atom=287 formation_enthalpy_0k_ev_per_atom=-0.16 pbc="T T T"
Zr 2.446 2.144 1.238
Ti 0.613 0.000 2.476
Pd 0.608 0.000 0.000



# 4
5
Lattice="-0.376 -2.840 3.105 4.187 0.062 0.563 -0.424 3.128 2.808" Properties=species:S:1:pos:R:3 comment="YP3N (PBE-GGA, optimized geometry)" raw_formation_energy_ev_per_atom=0.13 rho_g_cm3=4.31 e_above_lowest_polymorph_mev_per_atom=0 pbc="T T T"
P 2.093 0.031 0.282
P -0.188 -1.420 1.553
P -0.212 1.564 1.404
N 0.000 0.000 0.000
Y 1.693 0.175 3.239

----------

# BaTbY

Crystalline BaTbY at its relaxed geometry (PBE-GGA, the Open Quantum Materials Database).

Properties
└──

In the field of financial planning there is a universally accepted principle that it’s critical to pay yourself first, before you pay your other bills – to think of yourself as a creditor.  The rationale for this financial wisdom is that if you wait to put money into savings until after everybody else is paid, there will be nothing left for you! The result is that you’ll keep postponing your savings plan until it’s too late to do anything about it.  But, lo and behold, if you pay yourself first, somehow there will be just enough to pay everyone else too. 

The identical principle is critical to implement into your program of spiritual practice.  If you wait until all your chores, responsibilities, and everything else is done before you get started, it will never happen. Guaranteed.I have found that scheduling a little time each day as if it were an actual appointment is the only way to ensure that you will take some time for yourself.  You might become an early riser, for example, and schedule one hour that is reserved for reading, praying, reflecting, meditating, yoga, exercise, or however you want to use the time.  How you choose to use the time is up to you.  The important thing is that you do schedule the time and that you stick to it.I had a client who actually hired a baby-sitter on a regular basis to ensure that she had the chance to do the things she felt she needed to do.  Today, more than a year later, here efforts have paid enormous dividends.  She’s happier than she ever thought possible.  She told me that there was a time that she never would have imagined hiring a babysitter to ensure this type of quality time for herself. Now that she has done it, she can’t imagine not doing it! If you set your mind to it, you can find the time you need.